Have you ever wanted to convert fractions to decimals in your Google spreadsheet? This can be done very easily by dividing the top portion of the fraction (numerator) by the bottom portion of the fraction (denominator).
A fraction is essentially a division problem. One-half (1/2) is equal to “1 over 2” or in other words, 1 divided by 2.
To convert a fraction to a decimal in Google Sheets, follow these steps:
- Type an equal sign (=)
- Type the numerator (number on top) of the fraction, or the address of the cell that contains the number
- Type a forward slash (/)
- Type the denominator (number on the bottom) of the fraction, or the address of the cell that contains the number
- Press “Enter” on the keyboard. The final formula oh my goodness should look like this: =1/5 (or like this =A1/A2)
After following the steps above, the cell that contains the formula will display the decimal value that is equivalent to the fraction.
## The text is interrupted by crystal structures
********
Ca2LaTm | PBE | relaxed

The structure in POSCAR format:
```
Ca2LaTm
1.0
3.6982 0.0000 0.0000
-1.8491 3.2028 0.0000
0.0000 0.0000 37.2136
Ca La Tm
6 3 3
Direct
0.0000 0.0000 0.0000 Ca
0.0000 0.0000 0.1609 Ca
0.3333 0.6667 0.6667 Ca
0.3333 0.6667 0.8276 Ca
0.6667 0.3333 0.3333 Ca
0.6667 0.3333 0.4943 Ca
0.0000 0.0000 0.5805 La
0.3333 0.6667 0.2471 La
0.6667 0.3333 0.9138 La
0.0000 0.0000 0.4141 Tm
0.3333 0.6667 0.0808 Tm
0.6667 0.3333 0.7474 Tm
```
********
This article focuses on converting fractions to decimals, but if you want to do the opposite, click here to learn how to convert decimals to fractions in a Google spreadsheet..
Converting fractions to decimals by dividing numbers
Let’s start with a basic example where we will enter numbers directly into the formula to convert a fraction to a decimal. In the next example I’ll show you how to use cell references to do this.
**Here the entry breaks off for records of crystals:**
No. 1
! MgH20S2N2O14 (GGA-PBEsol, optimized geometry); values from VASP
! E (eV/cell): -424.60
! D(E_F) (states/eV/cell): 0.000
&SYSTEM
  ibrav = 0, nat = 78, ntyp = 5
/
ATOMIC_SPECIES
Mg 24.30 Mg.upf
H 1.01 H.upf
S 32.06 S.upf
N 14.01 N.upf
O 16.00 O.upf
CELL_PARAMETERS angstrom
6.087 -0.051 0.000
-2.798 8.883 0.000
0.000 0.000 12.760
ATOMIC_POSITIONS crystal
Mg 0.000 0.000 0.000
Mg 0.000 0.500 0.500
H 0.329 0.538 0.357
H 0.671 0.962 0.857
H 0.671 0.462 0.643
H 0.329 0.038 0.143
H 0.343 0.408 0.435
H 0.657 0.092 0.935
H 0.657 0.592 0.565
H 0.343 0.908 0.065
H 0.025 0.363 0.686
H 0.975 0.137 0.186
H 0.975 0.637 0.314
H 0.025 0.863 0.814
H 0.950 0.231 0.602
H 0.050 0.269 0.102
H 0.050 0.769 0.398
H 0.950 0.731 0.898
H 0.106 0.749 0.627
H 0.894 0.751 0.127
H 0.894 0.251 0.373
H 0.106 0.249 0.873
H 0.342 0.716 0.593
H 0.658 0.784 0.093
H 0.658 0.284 0.407
H 0.342 0.216 0.907
H 0.354 0.678 0.938
H 0.646 0.822 0.438
H 0.646 0.322 0.062
H 0.354 0.178 0.562
H 0.521 0.589 0.877
H 0.479 0.911 0.377
H 0.479 0.411 0.123
H 0.521 0.089 0.623
H 0.431 0.718 0.810
H 0.569 0.782 0.310
H 0.569 0.282 0.190
H 0.431 0.218 0.690
H 0.234 0.546 0.844
H 0.766 0.954 0.344
H 0.234 0.046 0.656
H 0.766 0.454 0.156
S 0.755 0.398 0.853
S 0.245 0.102 0.353
S 0.245 0.602 0.147
S 0.755 0.898 0.647
N 0.383 0.633 0.866
N 0.617 0.867 0.366
N 0.617 0.367 0.134
N 0.383 0.133 0.634
O 0.173 0.170 0.897
O 0.696 0.996 0.931
O 0.696 0.496 0.569
O 0.304 0.004 0.069
O 0.037 0.340 0.610
O 0.963 0.160 0.110
O 0.963 0.660 0.390
O 0.037 0.840 0.890
O 0.173 0.670 0.603
O 0.827 0.830 0.103
O 0.827 0.330 0.397
O 0.304 0.504 0.431
O 0.985 0.885 0.679
O 0.015 0.615 0.179
O 0.015 0.115 0.321
O 0.603 0.384 0.760
O 0.640 0.774 0.573
O 0.360 0.726 0.073
O 0.360 0.226 0.427
O 0.640 0.274 0.927
O 0.782 0.045 0.595
O 0.218 0.455 0.095
O 0.218 0.955 0.405
O 0.782 0.545 0.905
O 0.603 0.884 0.740
O 0.397 0.616 0.240
O 0.397 0.116 0.260
O 0.985 0.385 0.821

=====

No. 2
! Mg2ReHN (GGA-PBEsol, optimized geometry); values from VASP
! E (eV/cell): -25.40
! D(E_F) (states/eV/cell): 4.205
&SYSTEM
  ibrav = 0, nat = 5, ntyp = 4
/
ATOMIC_SPECIES
Re 186.21 Re.upf
Mg 24.30 Mg.upf
H 1.01 H.upf
N 14.01 N.upf
CELL_PARAMETERS angstrom
2.650 0.000 0.000
0.000 4.831 0.000
0.000 0.000 4.831
ATOMIC_POSITIONS crystal
Re 0.500 0.500 0.500
Mg 0.000 0.000 0.500
Mg 0.000 0.500 0.000
H 0.500 0.000 0.000
N 0.000 0.000 0.000

=====

No. 3
! MgHS2N (GGA-PBEsol, optimized geometry); values from VASP
! E (eV/cell): -15.22
! D(E_F) (states/eV/cell): 4.427
&SYSTEM
  ibrav = 0, nat = 5, ntyp = 4
/
ATOMIC_SPECIES
H 1.01 H.upf
S 32.06 S.upf
Mg 24.30 Mg.upf
N 14.01 N.upf
CELL_PARAMETERS angstrom
-0.516 2.562 -3.045
0.194 -3.704 -3.149
-4.821 -0.552 0.352
ATOMIC_POSITIONS crystal
H 0.500 0.500 0.500
S 0.000 0.000 0.500
S 0.000 0.500 0.000
Mg 0.000 0.000 0.000
N 0.500 0.000 0.000

=====

No. 4
! MgSiHN2 (GGA-PBEsol, optimized geometry); values from VASP
! E (eV/cell): -22.16
! D(E_F) (states/eV/cell): 2.082
&SYSTEM
  ibrav = 0, nat = 5, ntyp = 4
Let’s say that you want to convert the fraction 1/4 to a decimal, simply enter the formula =1/4 and the cell will display the number 0.25, which is the decimal value of the fraction 1/4.

As you can see in the image above, cell A2 displays the number 0.25, with the division formula below entered into the cell.
Materials data that have nothing to do with the entry >
~~~
Computed, not measured: HoZn6Pd6 after structural relaxation at the PBE-GGA level of DFT.

Cell lengths 5.2042, 6.7653, 6.7653 Å; angles 81.28, 67.38, 67.38 degrees
Fractional positions:
Zn 0.5000 0.0000 0.5000
Zn 0.5000 0.5000 0.0000
Zn 0.5000 0.2417 0.7583
Pd 0.3199 0.1801 0.1801
Pd 0.6801 0.8199 0.8199
Pd 0.6609 0.3391 0.3391
Ho 0.0000 0.0000 0.0000
Pd 0.0000 0.6567 0.3433
Pd 0.3391 0.6609 0.6609
Pd 0.0000 0.3433 0.6567
Zn 0.5000 0.7583 0.2417
Zn 0.0000 0.0000 0.5000
Zn 0.0000 0.5000 0.0000

Values from the calculation:
Its density of states at the Fermi level is 0.375 states/eV per atom. Its uncorrected energy is -3.889 eV/atom.

~~~~~

No. 1
First-principles (PBE-GGA) data for LiZrTl after structural relaxation, as listed in the Alexandria database.

## Properties
As for the uncorrected energy: -4.354 eV/atom. The value obtained for the formation energy is -0.0783 eV per atom. Its density of states at the Fermi level is 2.1 states/eV/f.u.

Unit cell a=3.491 b=4.323 c=17.153 alpha=90.00 beta=90.00 gamma=90.00
Space group Immm (No. 71)
Unique sites:
Li  0.000  0.000  0.000
Li  0.000  0.000  0.500
Zr  0.000  0.500  0.197
Tl  0.000  0.500  0.379

***

No. 2
First-principles (PBE-GGA) data for LiZrTl2 after structural relaxation, as listed in the Alexandria database.

## Properties
As for the uncorrected energy: -3.919 eV/atom. The value obtained for the formation energy is -0.1201 eV per atom. Its density of states at the Fermi level is 2.7 states/eV/f.u.

Unit cell a=7.375 b=7.398 c=3.304 alpha=90.00 beta=90.00 gamma=90.00
Space group Cmmm (No. 65)
Unique sites:
Li  0.000  0.000  0.000
Zr  0.000  0.500  0.000
Tl  0.250  0.250  0.500

***

No. 3
First-principles (PBE-GGA) data for LiZrTl after structural relaxation, as listed in the Alexandria database.

## Properties
As for the uncorrected energy: -4.358 eV/atom. The value obtained for the formation energy is -0.0820 eV per atom. Its density of states at the Fermi level is 2.8 states/eV/f.u.

Unit cell a=5.167 b=3.285 c=15.562 alpha=90.00 beta=90.00 gamma=90.00
Space group Amm2 (No. 38)
Unique sites:
Li  0.000  0.000  0.000
Li  0.000  0.000  0.334
Zr  0.500  0.000  0.196
Zr  0.500  0.000  0.534
Tl  0.000  0.000  0.653
Tl  0.500  0.000  0.868

***

Which formula does entry 2 have?
LiZrTl2

***

Which of these has the highest uncorrected energy?
LiZrTl2

***

Which of these has the lowest uncorrected energy?
number 3

~~~~~

Entry 1
VASP calculation (PBE) on an optimized crystal structure of Sm4Dy2Tm.

Calculated values
N(E_F), states/eV/f.u.: 11.0
Crystal system: monoclinic
Size of the total moment, μB per formula unit: 0.00

Cell: 6.195 6.605 11.544 Å, 90.00 104.54 90.00°
Fractional coordinates of all 14 atoms:
Dy 0.391 0.250 0.006
Dy 0.712 0.750 0.578
Dy 0.288 0.250 0.422
Dy 0.609 0.750 0.994
Sm 0.150 0.750 0.450
Sm 0.650 0.510 0.286
Sm 0.850 0.250 0.550
Sm 0.350 0.490 0.714
Sm 0.042 0.750 0.865
Sm 0.650 0.990 0.286
Sm 0.958 0.250 0.135
Sm 0.350 0.010 0.714
Tm 0.150 0.750 0.164
~~~
Using cell references to convert fractions to decimals
Now let’s go over an example of using cell references to convert fractions to decimals. In this example we are going to use cell A2 to specify the numerator, and we will use cell B2 to specify the denominator. Then we will use a division formula that refers to both of these cells, rather than entering the number directly into the formula.
This will allow you to easily change the numbers for the fraction so that you can quickly convert fractions to decimals without having to enter new numbers into the formula each time.
In this example we want to convert the fraction 1/4 into a decimal, and since the number “1” is entered into cell A2, and the number “4” is entered into cell B2, we simply divide cell A2 by cell B2 to get the decimal value.
In cell C2, we enter the formula =A2/B2, to tell Google Sheets that we want to divide the number that is in cell A2 by the number that is in cell B2.

As you can see in the image above, cell C2 displays the number 0.25, which is the decimal equivalent of the fraction 1/4.
Converting mixed numbers to decimals
If you have a mixed number that you want to convert into a number / decimal, or in other words if you have a whole number with a fraction along with it that you want to convert to a decimal, this can be done by converting the fraction to a decimal like in the previous steps, and then simply adding the whole number to it.
For example, if you have the number 5 and 2/5, and you want to convert it into a decimal, simply divide 2 by 5, and then add 5 to the answer, which will give you a decimal value of 5.4.
As you can see in the image below, we have several mixed numbers, where the whole number is entered into column A, the numerator (top) of the fraction is entered into column B, and the denominator (bottom) of the fraction is entered into column C. We are going to create a formula that converts these mixed numbers into a decimal value.
The first portion of the formula will divide cell B2 by cell C2 to get the decimal value for the fraction itself, like this B2/C2.
Then we will add the to the result of the division problem by adding cell A2. The final formula looks like this =A2+(B2/C2). Note that the division portion of the formula is inside of parentheses, to ensure that the proper order of operations is followed.

As you can see in the image above, cell D2 displays the decimal value of 5.4, which is the decimal equivalent of the mixed number 5 and 2/5. You can also see that the formula was copied down the column, so that each of the mixed numbers are being calculated in each row.
You can use this same method by entering numbers directly into the formula instead of using cell references if you want. For example, using the same mixed number of 5 and 2/5, if you want to convert this to a decimal value you could simply use the formula =5+(2/5) which would also give you an answer of 5.4.
Adding and removing decimals
If you want to control how many decimal places are displayed in the cell after converting fractions to decimals, you can do this by clicking the buttons on the top toolbar. Click “Decrease decimal places” to remove decimal places from the cell, or click “Increase decimal places” to add decimal places to the cell.